Exercise:
Say how many lines of the calculation results further down hold the word "compared", as a bare number, please.

Source:
____________
1.
ORCA calculation (ωB97M-V/def2-TZVPD) on C5H5FO in the gas phase.

The geometry in ORCA input format:
```
! RIJCOSX wB97M-V def2-TZVPD def2/J DEFGRID3
* xyz 0 1
C 1.214 0.208 1.894
C 0.980 0.778 0.769
C 0.820 0.972 -0.535
F 1.655 1.818 -0.981
C -0.045 0.399 -1.484
O -1.128 -0.478 -1.328
C -1.211 -0.945 -0.018
H 1.354 0.181 3.039
H 0.217 0.472 -2.542
H -0.374 -1.361 0.554
H -1.576 -0.213 0.633
H -1.907 -1.832 0.000
*
```

Its HOMO-LUMO gap is 8.6 eV. Its energy is -10025.9814 eV. The lowest unoccupied orbital energy comes out at 0.2 eV. Its SMILES is C#C/C(F)=C\OC. Its largest force on an atom is 10.79 eV/Å. The calculation puts the energy relative to the best compared isomer or geometry (same formula, charge and spin) at 94.44 kcal/mol.



2.
ORCA calculation (ωB97M-V/def2-TZVPD) on 14 unconnected molecules or ions with the total composition C80H180N16O16.

The geometry in ORCA input format:
```
! RIJCOSX wB97M-V def2-TZVPD def2/J DEFGRID3
* xyz 0 1
C -10.102 1.364 2.144
C -11.145 2.495 1.974
O -11.178 2.913 0.647
O -10.873 0.117 2.190
H -9.471 1.607 2.999
H -9.402 1.315 1.310
H -10.753 3.409 2.421
H -12.100 2.210 2.416
H -11.778 3.661 0.597
H -11.304 -0.088 1.357
C -7.670 -2.549 -3.449
C -8.231 -3.657 -2.509
O -9.600 -3.891 -2.489
O -8.473 -2.525 -4.621
H -6.674 -2.492 -3.887
H -7.821 -1.559 -3.018
H -7.857 -3.456 -1.505
H -7.740 -4.585 -2.799
H -9.707 -4.830 -2.320
H -9.298 -2.999 -4.496
C 5.189 1.345 5.638
O 4.495 1.268 6.642
N 6.248 0.610 5.359
N 5.216 2.268 4.685
H 6.586 -0.174 5.899
H 6.427 0.610 4.365
H 5.902 2.425 3.960
H 4.507 2.926 4.974
C -0.746 0.002 11.419
O -1.589 -0.500 12.171
N 0.192 -0.646 10.807
N -0.700 1.321 11.146
H 0.031 -1.629 10.975
H 0.872 -0.217 10.195
H 0.169 1.753 10.865
H -1.438 1.842 11.597
C -1.135 10.616 6.139
O -2.167 10.509 5.484
N -0.994 11.518 7.000
N -0.211 9.784 6.112
H -0.117 11.692 7.470
H -1.787 12.134 7.105
H -0.298 8.904 5.626
H 0.582 9.702 6.732
C -8.587 -4.023 8.540
O -8.335 -5.189 8.309
N -7.928 -3.018 7.998
N -9.557 -3.657 9.219
H -7.262 -3.156 7.252
H -8.314 -2.091 8.110
H -10.350 -4.200 9.529
H -9.711 -2.689 8.975
C -0.328 -0.304 -1.655
C 0.589 -0.122 -0.450
C 1.105 1.347 -0.361
C 0.096 2.448 0.157
C -0.426 1.954 1.451
C -1.036 0.460 1.549
N -0.088 -0.460 0.883
O -0.488 -1.829 1.002
C -1.044 0.012 2.991
C -2.478 0.444 0.971
C 1.687 -1.134 -0.659
H -1.005 -1.159 -1.672
H 0.164 -0.075 -2.599
H -1.015 0.537 -1.746
H 1.956 1.242 0.312
H 1.403 1.573 -1.385
H -0.613 2.583 -0.660
H 0.597 3.328 0.560
H -1.238 2.618 1.747
H 0.263 2.286 2.228
H -0.086 -0.192 3.469
H -1.319 0.849 3.633
H -1.701 -0.804 3.291
H -2.886 -0.565 1.033
H -2.984 1.219 1.549
H -2.651 0.824 -0.036
H 2.352 -0.990 0.193
H 2.309 -0.941 -1.533
H 1.392 -2.167 -0.842
H 0.208 -2.059 1.622
C -2.474 -10.199 4.417
C -1.009 -10.528 4.773
C -0.029 -10.196 3.561
C 0.301 -8.640 3.433
C 0.816 -8.100 4.839
C -0.212 -8.445 5.953
N -0.533 -9.920 6.019
O -1.187 -10.241 7.182
C 0.514 -8.059 7.168
C -1.476 -7.533 5.958
C -0.941 -12.136 4.953
H -3.163 -9.818 5.171
H -2.908 -11.063 3.913
H -2.686 -9.444 3.660
H 0.932 -10.660 3.785
H -0.341 -10.568 2.585
H -0.619 -8.155 3.107
H 0.940 -8.262 2.635
H 1.021 -7.031 4.790
H 1.731 -8.692 4.841
H 0.784 -7.020 7.356
H 0.078 -8.368 8.118
H 1.488 -8.544 7.219
H -2.400 -7.912 6.394
H -1.208 -6.557 6.363
H -1.635 -7.227 4.924
H -1.704 -12.433 5.673
H 0.042 -12.485 5.268
H -1.164 -12.693 4.043
H -1.951 -9.671 7.066
C 8.205 2.221 -3.043
C 9.136 3.531 -2.854
C 8.789 4.540 -4.040
C 9.076 6.051 -3.753
C 8.269 6.439 -2.512
C 8.700 5.598 -1.228
N 8.592 4.134 -1.501
O 8.752 3.303 -0.440
C 10.128 6.021 -0.709
C 7.729 6.150 -0.138
C 10.692 3.276 -2.956
H 8.258 1.633 -3.959
H 7.149 2.491 -3.066
H 8.528 1.620 -2.193
H 9.296 4.404 -4.995
H 7.733 4.422 -4.279
H 8.873 6.769 -4.548
H 10.108 6.202 -3.436
H 7.205 6.279 -2.689
H 8.474 7.497 -2.350
H 10.166 7.081 -0.457
H 10.468 5.431 0.141
H 10.819 5.812 -1.526
H 6.900 5.443 -0.136
H 8.244 6.067 0.819
H 7.403 7.164 -0.370
H 11.212 4.203 -3.198
H 10.902 2.625 -3.805
____________

Solution:
1